Quelques propriétés des anneaux dont un sous-demi-groupe multiplicatif est un -demi-groupe
In this paper, we first investigate some properties of the hyper pseudo BCK-algebras. Then we define the concepts of strong and reflexive hyper pseudo BCK-ideals and establish some relationships among them and the other types of hyper pseudo BCK-ideals. Also, we introduce the notion of regular congruence relation on hyper pseudo BCK-algebras and investigate some related properties. By using this relation, we construct the quotient hyper pseudo BCK-algebra and give some related results.
We introduce the notion of weak dually residuated lattice ordered semigroups (WDRL-semigroups) and investigate the relation between -algebras and WDRL-semigroups. We prove that the category of -algebras is equivalent to the category of some bounded WDRL-semigroups. Moreover, the connection between WDRL-semigroups and DRL-semigroups is studied.
It follows from Stone Duality that Hochster's results on the relation between spectral spaces and prime spectra of rings translate into analogous, formally stronger results concerning coherent frames and frames of radical ideals of rings. Here, we show that the latter can actually be obtained without Stone Duality, proving them in Zermelo-Fraenkel set theory and thereby sharpening the original results of Hochster.
**Quantum chemistry results, kept here for reference:**
~~~
No. 1
C8H16OS | the ωB97M-V functional and the def2-TZVPD basis

CARTESIAN COORDINATES (ANGSTROEM)
C 1.26358 -0.70420 -0.57929
C 1.38665 -1.88926 -0.03768
C 1.82295 -3.11969 -0.86495
C 1.52335 -2.09501 1.46409
C -1.78456 0.43797 0.24118
C -1.19186 2.92098 0.94275
C -0.52178 2.16583 -1.28007
C -0.87840 1.64161 0.15043
O 0.69451 0.90427 2.14423
S 0.88454 1.44764 0.76722
H 1.11248 -0.40599 -1.64574
H 2.90485 -3.38302 -0.82463
H 1.73586 -3.00267 -1.87941
H 1.23394 -3.92977 -0.76714
H 2.53480 -2.76154 1.61881
H 1.64099 -1.07041 1.77661
H 0.70089 -2.67320 1.73470
H -2.81662 0.89332 0.25868
H -1.57277 -0.21250 -0.66968
H -1.45719 -0.28500 1.12156
H -0.35176 3.57863 1.01297
H -1.52692 2.50269 1.86685
H -2.00568 3.44246 0.58580
H -0.10825 3.22009 -1.32121
H 0.10137 1.51381 -1.82457
H -1.32896 2.32191 -2.05781

Results
F_max: 4.34 eV/Å
energy: -21432.990 eV
relative energy (zero: lowest compared OMol25 entry of this formula, charge and spin): 5.5685 eV
E_HOMO (alpha / beta): -0.3013 / -0.3010 Eh
LUMO (alpha / beta): -0.12 / -0.08 eV
frontier orbital gap (alpha / beta): 8.1 / 8.1 eV

No. 2
C8H16OSi | the ωB97M-V functional and the def2-TZVPD basis

CARTESIAN COORDINATES (ANGSTROEM)
C 2.16079 1.40039 1.32880
C 1.61007 0.45179 0.86481
C 0.65927 -0.60609 0.37921
C 0.05447 -1.38615 1.54517
O 1.29872 -1.35073 -0.59680
C 2.64627 -1.57074 -0.37024
Si -0.77285 0.53632 -0.41614
C -2.41040 -0.35434 -0.73713
C -1.22954 2.00254 0.76807
C -0.06614 1.23683 -1.96727
H 2.76894 2.25175 1.55094
H 0.13967 -0.84147 2.44296
H -0.96895 -1.33913 1.32448
H 0.40978 -2.40947 1.54901
H 2.99680 -2.60150 -0.40908
H 3.04929 -1.19246 0.54727
H 3.27511 -0.90371 -1.12041
H -2.95482 -0.70072 0.11808
H -2.95015 0.28303 -1.38965
H -2.25327 -1.37108 -1.32098
H -1.88048 1.60412 1.60870
H -0.28144 2.24189 1.22077
H -1.59254 2.89071 0.31459
H 0.47266 2.16167 -1.79701
H 0.80535 0.65604 -2.06772
H -0.69886 1.50144 -2.79042

Results
F_max: 3.88 eV/Å
energy: -18477.431 eV
relative energy (zero: lowest compared OMol25 entry of this formula, charge and spin): 3.2195 eV
E_HOMO: -0.3347 Eh
LUMO: 0.88 eV
frontier orbital gap: 10.0 eV
SMILES: C#C[C@](C)(OC)[Si](C)(C)C

No. 3
C8H16P2 | the ωB97M-V functional and the def2-TZVPD basis

CARTESIAN COORDINATES (ANGSTROEM)
C -0.60144 0.62110 1.31468
C 0.44232 0.35209 0.77268
C -4.00098 2.74801 0.31885
C 2.70745 -3.07665 -1.31085
C -2.92799 -0.77444 1.37464
C 4.06174 0.51761 -0.12351
C -2.70455 2.02719 0.25683
C 2.67446 -1.54397 -1.26553
P -2.30587 1.01279 1.69114
P 3.04285 -0.89167 0.42931
H -4.04098 3.71690 -0.23177
H -4.74850 2.15861 -0.28599
H -4.24592 2.76049 1.43971
H 2.12020 -3.45346 -2.24130
H 3.69090 -3.62127 -1.16084
H 2.24386 -3.54849 -0.37963
H -2.45219 -1.18153 2.27239
H -2.63740 -1.38455 0.53338
H -4.01382 -0.86011 1.46337
H 4.82860 0.19950 -0.87032
H 4.79192 1.05351 0.53304
H 3.28186 1.25965 -0.34003
H -1.82621 2.74322 0.03094
H -2.54007 1.45269 -0.66391
H 1.69349 -1.09448 -1.57516
H 3.46628 -1.19273 -1.98211

Results
F_max: 4.66 eV/Å
~~~
Lattices in the class of algebraic, distributive lattices whose compact elements form relatively normal lattices are investigated. We deal mainly with the lattices in the greatest element of which is compact. The distributive radicals of algebraic lattices are introduced and for the lattices in with the sublattice of compact elements satisfying the conditional join-infinite distributive law they are compared with two other kinds of radicals. Connections between complete distributivity of algebraic...
MM functions, formed by finite composition of the operators min, max and translation, represent discrete-event systems involving disjunction, conjunction and delay. The paper shows how they may be formulated as homogeneous rational algebraic functions of degree one, over (max, +) algebra, and reviews the properties of such homogeneous functions, illustrated by some orbit-stability problems.
We introduce rational semimodules over semirings whose addition is idempotent, like the max-plus semiring, in order to extend the geometric approach of linear control to discrete event systems. We say that a subsemimodule of the free semimodule over a semiring is rational if it has a generating family that is a rational subset of , being thought of as a monoid under the entrywise product. We show that for various semirings of max-plus type whose elements are integers, rational semimodules...